_Data_
........
Here is a geometry-optimized Mg4Zn7 structure from the Materials Project database. Energies are from PBE-GGA.

```
Mg4Zn7
1.0
5.287 0.000 0.000
-2.643 12.883 0.000
-0.007 -3.078 13.802
Mg Zn
20 35
Cartesian
0.000 0.000 0.000 Mg
-0.018 -1.371 7.958 Mg
0.002 0.638 3.074 Mg
0.011 1.798 8.402 Mg
-0.016 3.112 5.773 Mg
-0.013 4.051 3.146 Mg
-0.021 5.373 0.524 Mg
-0.015 6.495 5.902 Mg
-0.012 8.518 0.983 Mg
-0.017 7.185 8.956 Mg
0.003 9.167 4.136 Mg
-0.016 10.350 9.323 Mg
2.633 -1.836 12.388 Mg
2.634 2.223 3.812 Mg
2.624 1.300 12.779 Mg
2.644 2.798 9.954 Mg
2.636 4.925 5.090 Mg
2.645 5.931 10.341 Mg
2.623 6.620 13.421 Mg
2.649 10.856 4.823 Mg
-1.305 4.593 7.855 Zn
-0.013 -2.199 10.915 Zn
-1.361 4.057 12.352 Zn
-1.263 6.660 3.065 Zn
-0.013 -0.247 12.655 Zn
-1.324 9.031 6.891 Zn
-1.334 8.489 11.384 Zn
-0.005 2.038 11.351 Zn
-1.344 11.020 2.037 Zn
0.007 4.338 10.076 Zn
1.245 0.519 5.877 Zn
-0.023 6.267 11.837 Zn
1.340 0.009 10.361 Zn
1.308 2.556 1.064 Zn
0.011 8.204 13.607 Zn
-0.015 11.174 6.395 Zn
1.316 4.605 7.873 Zn
2.642 -0.680 3.977 Zn
1.342 4.064 12.364 Zn
1.254 6.636 3.074 Zn
2.645 0.374 1.526 Zn
2.653 0.228 8.171 Zn
1.265 9.008 6.896 Zn
2.625 2.558 6.918 Zn
1.311 8.461 11.363 Zn
2.636 4.606 2.002 Zn
1.348 11.015 2.066 Zn
2.635 6.934 0.765 Zn
2.644 6.776 7.420 Zn
4.016 0.514 5.890 Zn
3.929 0.003 10.376 Zn
2.623 7.843 4.971 Zn
3.976 2.546 1.072 Zn
2.643 8.868 2.537 Zn
2.620 8.759 9.136 Zn
```

Summary:
- V: 940.0 Å³/cell
- E_form: -0.13 eV per atom
- Total moment: 0.000 μB per atom


Here is a geometry-optimized RbAgC2 structure from the Materials Project database. Energies are from PBE-GGA.

```
RbAgC2
1.0
4.555 0.000 0.000
0.000 4.555 0.000
0.000 0.000 5.341
Rb Ag C
1 1 2
Cartesian
0.000 0.000 0.000 Rb
2.277 2.277 2.671 Ag
2.277 2.277 0.626 C
2.277 2.277 4.715 C
```

Summary:
- V: 110.8 Å³/cell
- E_form: 0.36 eV per atom
- Total moment: 0.000 μB per atom


Here is a geometry-optimized Na3Nb12O31 structure from the Materials Project database. Energies are from PBE-GGA.

```
Na3Nb12O31
1.0
17.896 0.000 0.000
0.000 3.958 0.000
-0.010 0.000 17.983
Na Nb O
6 24 62
Cartesian
0.000 0.000 0.000 Na
1.177 0.165 4.744 Na
4.282 0.159 10.370 Na
8.943 0.011 8.992 Na
13.604 0.159 7.614 Na
16.710 0.165 13.239 Na
1.082 2.107 11.507 Nb
1.219 1.886 15.331 Nb
2.353 1.918 1.217 Nb
2.497 2.065 7.916 Nb
4.257 1.896 4.469 Nb
4.468 2.158 16.611 Nb
4.495 1.813 13.253 Nb
6.326 1.889 7.767 Nb
6.448 2.166 1.255 Nb
7.602 2.140 4.515 Nb
7.686 2.044 11.340 Nb
7.688 2.165 15.459 Nb
10.200 2.044 6.643 Nb
10.199 2.165 2.525 Nb
10.284 2.140 13.468 Nb
11.438 2.166 16.729 Nb
11.560 1.889 10.216 Nb
13.391 1.813 4.730 Nb
13.418 2.158 1.372 Nb
13.629 1.896 13.514 Nb
15.389 2.065 10.067 Nb
15.534 1.918 16.766 Nb
16.667 1.886 2.652 Nb
16.805 2.107 6.476 Nb
0.432 2.015 1.438 O
0.469 1.962 13.605 O
0.772 1.922 7.063 O
0.960 3.945 11.722 O
1.135 0.017 15.538 O
1.862 1.918 9.735 O
2.348 0.043 1.311 O
2.438 2.028 17.234 O
2.720 3.905 7.920 O
2.891 2.045 3.177 O
2.986 1.962 12.100 O
3.123 1.822 5.935 O
3.192 2.014 14.903 O
4.503 0.018 16.645 O
4.504 2.020 0.761 O
4.587 1.930 8.498 O
4.604 3.938 13.235 O
5.711 2.005 14.920 O
5.799 1.991 11.776 O
5.827 1.999 3.241 O
5.833 2.007 5.747 O
6.500 0.001 7.771 O
6.645 0.029 1.246 O
6.622 2.006 17.262 O
7.507 1.981 9.387 O
7.528 0.004 4.427 O
7.736 0.024 15.682 O
7.782 0.004 11.258 O
8.166 1.988 6.487 O
8.159 2.021 13.501 O
8.209 1.995 2.376 O
9.677 1.995 15.607 O
9.720 1.988 11.496 O
9.728 2.021 4.482 O
10.104 0.004 6.726 O
10.150 0.024 2.301 O
10.359 0.004 13.556 O
10.379 1.981 8.596 O
11.242 0.029 16.737 O
11.264 2.006 0.721 O
11.386 0.001 10.213 O
12.059 1.999 14.742 O
12.053 2.007 12.237 O
12.087 1.991 6.208 O
12.176 2.005 3.063 O
13.283 3.938 4.748 O
13.299 1.930 9.485 O
13.383 0.018 1.339 O
13.382 2.020 17.222 O
14.695 2.014 3.081 O
14.763 1.822 12.048 O
14.900 1.962 5.884 O
14.995 2.045 14.807 O
15.166 3.905 10.064 O
15.448 2.028 0.750 O
15.538 0.043 16.672 O
16.024 1.918 8.248 O
16.751 0.017 2.445 O
16.926 3.945 6.261 O
........
_Wanted_
The reader should type out only the last part of the notes further above, starting with the line that has "5.341".
_Reply_
0.000 0.000 5.341
Rb Ag C
1 1 2
Cartesian
0.000 0.000 0.000 Rb
2.277 2.277 2.671 Ag
2.277 2.277 0.626 C
2.277 2.277 4.715 C
```

Summary:
- V: 110.8 Å³/cell
- E_form: 0.36 eV per atom
- Total moment: 0.000 μB per atom


Here is a geometry-optimized Na3Nb12O31 structure from the Materials Project database. Energies are from PBE-GGA.

```
Na3Nb12O31
1.0
17.896 0.000 0.000
0.000 3.958 0.000
-0.010 0.000 17.983
Na Nb O
6 24 62
Cartesian
0.000 0.000 0.000 Na
1.177 0.165 4.744 Na
4.282 0.159 10.370 Na
8.943 0.011 8.992 Na
13.604 0.159 7.614 Na
16.710 0.165 13.239 Na
1.082 2.107 11.507 Nb
1.219 1.886 15.331 Nb
2.353 1.918 1.217 Nb
2.497 2.065 7.916 Nb
4.257 1.896 4.469 Nb
4.468 2.158 16.611 Nb
4.495 1.813 13.253 Nb
6.326 1.889 7.767 Nb
6.448 2.166 1.255 Nb
7.602 2.140 4.515 Nb
7.686 2.044 11.340 Nb
7.688 2.165 15.459 Nb
10.200 2.044 6.643 Nb
10.199 2.165 2.525 Nb
10.284 2.140 13.468 Nb
11.438 2.166 16.729 Nb
11.560 1.889 10.216 Nb
13.391 1.813 4.730 Nb
13.418 2.158 1.372 Nb
13.629 1.896 13.514 Nb
15.389 2.065 10.067 Nb
15.534 1.918 16.766 Nb
16.667 1.886 2.652 Nb
16.805 2.107 6.476 Nb
0.432 2.015 1.438 O
0.469 1.962 13.605 O
0.772 1.922 7.063 O
0.960 3.945 11.722 O
1.135 0.017 15.538 O
1.862 1.918 9.735 O
2.348 0.043 1.311 O
2.438 2.028 17.234 O
2.720 3.905 7.920 O
2.891 2.045 3.177 O
2.986 1.962 12.100 O
3.123 1.822 5.935 O
3.192 2.014 14.903 O
4.503 0.018 16.645 O
4.504 2.020 0.761 O
4.587 1.930 8.498 O
4.604 3.938 13.235 O
5.711 2.005 14.920 O
5.799 1.991 11.776 O
5.827 1.999 3.241 O
5.833 2.007 5.747 O
6.500 0.001 7.771 O
6.645 0.029 1.246 O
6.622 2.006 17.262 O
7.507 1.981 9.387 O
7.528 0.004 4.427 O
7.736 0.024 15.682 O
7.782 0.004 11.258 O
8.166 1.988 6.487 O
8.159 2.021 13.501 O
8.209 1.995 2.376 O
9.677 1.995 15.607 O
9.720 1.988 11.496 O
9.728 2.021 4.482 O
10.104 0.004 6.726 O
10.150 0.024 2.301 O
10.359 0.004 13.556 O
10.379 1.981 8.596 O
11.242 0.029 16.737 O
11.264 2.006 0.721 O
11.386 0.001 10.213 O
12.059 1.999 14.742 O
12.053 2.007 12.237 O
12.087 1.991 6.208 O
12.176 2.005 3.063 O
13.283 3.938 4.748 O
13.299 1.930 9.485 O
13.383 0.018 1.339 O
13.382 2.020 17.222 O
14.695 2.014 3.081 O
14.763 1.822 12.048 O
14.900 1.962 5.884 O
14.995 2.045 14.807 O
15.166 3.905 10.064 O
15.448 2.028 0.750 O
15.538 0.043 16.672 O
16.024 1.918 8.248 O
16.751 0.017 2.445 O
16.926 3.945 6.261 O